### What to do
What is needed: filter the calculation results underneath: keep the lines with the word "r²SCAN".

### Source
- - -
First-principles (PBE-GGA) data for a relaxed structure of Mn2OsN3, as listed in the Materials Project.

a b c (Å): 5.1795 5.4940 4.9443
angles (deg): 90.00 90.00 122.03
Last column: nearest neighbours and their distance in Å.
Sites, in units of the cell vectors:
N 0.6759 0.7307 0.3846  3 Mn 1.85-1.88, 1 Os 2.00
N 0.3241 0.2693 0.8846  3 Mn 1.85-1.88, 1 Os 2.00
N 0.0000 0.7121 0.8340  2 Mn 1.88, 2 Os 2.00
N 0.3241 0.0547 0.3846  3 Mn 1.85-1.88, 1 Os 2.00
N 0.0000 0.2879 0.3340  2 Mn 1.88, 2 Os 2.00
N 0.6759 0.9453 0.8846  3 Mn 1.85-1.88, 1 Os 2.00
Os 0.0000 0.3595 0.9375  4 N 2.00
Os 0.0000 0.6405 0.4375  4 N 2.00
Mn 0.6409 0.0311 0.5236  4 N 1.85-1.88
Mn 0.6409 0.6099 0.0236  4 N 1.85-1.88
Mn 0.3591 0.3901 0.5236  4 N 1.85-1.88
Mn 0.3591 0.9689 0.0236  4 N 1.85-1.88

## Properties
**Total moment**: 0.08 μB per formula unit
**Final energy**: -9.0598 eV per atom

~~~~~

VASP calculation (r²SCAN) on Ba4SiAs4 after structural relaxation.

Lattice parameters (Å, degrees): 13.444 13.444 13.444 90.00 90.00 90.00
Positions (direct):
Ba: 0.355 0.645 0.355
Ba: 0.855 0.632 0.405
Ba: 0.632 0.595 0.145
Ba: 0.868 0.645 0.905
Ba: 0.355 0.355 0.645
Ba: 0.095 0.868 0.355
Ba: 0.645 0.645 0.645
Ba: 0.095 0.132 0.645
Ba: 0.595 0.855 0.368
Ba: 0.645 0.905 0.868
Ba: 0.645 0.095 0.132
Ba: 0.132 0.355 0.905
Ba: 0.855 0.855 0.145
Ba: 0.368 0.405 0.145
Ba: 0.595 0.145 0.632
Ba: 0.855 0.145 0.855
Ba: 0.368 0.595 0.855
Ba: 0.855 0.368 0.595
Ba: 0.632 0.405 0.855
Ba: 0.145 0.632 0.595
Ba: 0.145 0.368 0.405
Ba: 0.355 0.095 0.868
Ba: 0.868 0.355 0.095
Ba: 0.405 0.145 0.368
Ba: 0.132 0.645 0.095
Ba: 0.905 0.132 0.355
Ba: 0.145 0.145 0.145
Ba: 0.405 0.855 0.632
Ba: 0.355 0.905 0.132
Ba: 0.645 0.355 0.355
Ba: 0.905 0.868 0.645
Ba: 0.145 0.855 0.855
As: 0.603 0.603 0.397
As: 0.397 0.397 0.397
As: 0.848 0.889 0.398
As: 0.389 0.348 0.898
As: 0.398 0.152 0.111
As: 0.111 0.602 0.848
As: 0.398 0.848 0.889
As: 0.603 0.397 0.603
As: 0.397 0.603 0.603
As: 0.652 0.898 0.611
As: 0.848 0.111 0.602
As: 0.102 0.611 0.348
As: 0.389 0.652 0.102
As: 0.602 0.152 0.889
As: 0.897 0.103 0.103
As: 0.348 0.898 0.389
As: 0.889 0.398 0.848
As: 0.152 0.889 0.602
As: 0.103 0.897 0.103
As: 0.897 0.897 0.897
As: 0.611 0.348 0.102
As: 0.898 0.389 0.348
As: 0.611 0.652 0.898
As: 0.652 0.102 0.389
As: 0.348 0.102 0.611
As: 0.152 0.111 0.398
As: 0.602 0.848 0.111
As: 0.889 0.602 0.152
As: 0.103 0.103 0.897
As: 0.102 0.389 0.652
As: 0.111 0.398 0.152
As: 0.898 0.611 0.652
Si: 0.000 0.500 0.750
Si: 0.000 0.500 0.250
Si: 0.000 0.000 0.000
Si: 0.500 0.750 0.000
Si: 0.750 0.000 0.500
Si: 0.500 0.500 0.500
Si: 0.250 0.000 0.500
Si: 0.500 0.250 0.000

Results
symmetry = P-43n, No. 218
E_form = -1.17 eV per atom
total energy = -20.459 eV/atom
- - -

### Solution
VASP calculation (r²SCAN) on Ba4SiAs4 after structural relaxation.